[Activity]
It remains to repeat all of the material below word for word.

[Source]
Record 1
## MgAl2Re (GGA-PBE)

Data for crystalline MgAl2Re at its relaxed geometry.

As for the formation energy: 6.77 kJ/mol of atoms. Its magnetization is 0.000 μB per atom. The calculated volume is 15.98 Å³/atom.

The space group is Pmm2 (No. 25) and the conventional cell measures 2.818, 4.116 and 5.511 Å, with angles of 90.00, 90.00 and 90.00 degrees. The distinct sites, in fractional coordinates, are Mg at (0.000, 0.000, 0.000), Al at (0.000, 0.000, 0.475), Al at (0.500, 0.500, 0.747) and Re at (0.500, 0.500, 0.263).

Record 2
## Mg2AlRe (GGA-PBE)

Data for crystalline Mg2AlRe at its relaxed geometry.

As for the formation energy: 12.98 kJ/mol of atoms. Its magnetization is 0.000 μB per atom. The calculated volume is 16.89 Å³/atom.

The space group is Pmm2 (No. 25) and the conventional cell measures 2.800, 4.198 and 5.747 Å, with angles of 90.00, 90.00 and 90.00 degrees. The distinct sites, in fractional coordinates, are Mg at (0.000, 0.000, 0.000), Mg at (0.500, 0.500, 0.263), Al at (0.500, 0.500, 0.719) and Re at (0.000, 0.000, 0.517).

Record 3
## Mg2AlRe (GGA-PBE)

Data for crystalline Mg2AlRe at its relaxed geometry.

As for the formation energy: 23.97 kJ/mol of atoms. Its magnetization is 0.000 μB per atom. The calculated volume is 17.20 Å³/atom.

The space group is P4/mmm (No. 123) and the conventional cell measures 2.778, 2.778 and 8.912 Å, with angles of 90.00, 90.00 and 90.00 degrees. The distinct sites, in fractional coordinates, are Mg at (0.000, 0.000, 0.241), Al at (0.500, 0.500, 0.500) and Re at (0.500, 0.500, 0.000).

Record 4
## MgAlRe (GGA-PBE)

Data for crystalline MgAlRe at its relaxed geometry.

As for the formation energy: 17.88 kJ/mol of atoms. Its offset from the most stable computed form is 0.268 eV/atom. Its magnetization is 0.000 μB per atom. The calculated volume is 16.44 Å³/atom.

The space group is I4mm (No. 107) and the conventional cell measures 2.764, 2.764 and 12.911 Å, with angles of 90.00, 90.00 and 90.00 degrees. The distinct sites, in fractional coordinates, are Mg at (0.000, 0.000, 0.000), Al at (0.000, 0.000, 0.316) and Re at (0.000, 0.000, 0.668).

Record 5
## MgAl2Re (GGA-PBE)

Data for crystalline MgAl2Re at its relaxed geometry.

As for the formation energy: 19.38 kJ/mol of atoms. Its magnetization is 0.000 μB per atom. The calculated volume is 15.53 Å³/atom.

The space group is F-43m (No. 216) and the conventional cell measures 6.287, 6.287 and 6.287 Å, with angles of 90.00, 90.00 and 90.00 degrees. The distinct sites, in fractional coordinates, are Mg at (0.000, 0.000, 0.000), Al at (0.000, 0.000, 0.500), Al at (0.250, 0.250, 0.250) and Re at (0.250, 0.250, 0.750).

Record 6
## MgAl10Re2 (GGA-PBE)

Data for crystalline MgAl10Re2 at its relaxed geometry.

As for the formation energy: -16.32 kJ/mol of atoms. Its magnetization is 0.000 μB per atom. The calculated volume is 16.67 Å³/atom.

The space group is Cmcm (No. 63) and the conventional cell measures 9.199, 10.326 and 9.128 Å, with angles of 90.00, 90.00 and 90.00 degrees. The distinct sites, in fractional coordinates, are Mg at (0.000, 0.135, 0.250), Al at (0.000, 0.143, 0.594), Al at (0.000, 0.374, 0.031), Al at (0.164, 0.371, 0.750), Al at (0.217, 0.365, 0.250), Al at (0.230, 0.000, 0.000) and Re at (0.250, 0.250, 0.000).

Record 7
## MgAl2Re (GGA-PBE)

Data for crystalline MgAl2Re at its relaxed geometry.

As for the formation energy: 2.87 kJ/mol of atoms. Its magnetization is 0.000 μB per atom. The calculated volume is 15.93 Å³/atom.

The space group is Cm (No. 8) and the conventional cell measures 9.668, 2.742 and 4.846 Å, with angles of 90.00, 97.24 and 90.00 degrees. The distinct sites, in fractional coordinates, are Mg at (0.000, 0.000, 0.000), Al at (0.016, 0.500, 0.517), Al at (0.262, 0.500, 0.249) and Re at (0.252, 0.000, 0.742).

Record 8
## Mg2AlRe (GGA-PBE)

Data for crystalline Mg2AlRe at its relaxed geometry.

[Done]
Record 1
## MgAl2Re (GGA-PBE)

Data for crystalline MgAl2Re at its relaxed geometry.

As for the formation energy: 6.77 kJ/mol of atoms. Its magnetization is 0.000 μB per atom. The calculated volume is 15.98 Å³/atom.

The space group is Pmm2 (No. 25) and the conventional cell measures 2.818, 4.116 and 5.511 Å, with angles of 90.00, 90.00 and 90.00 degrees. The distinct sites, in fractional coordinates, are Mg at (0.000, 0.000, 0.000), Al at (0.000, 0.000, 0.475), Al at (0.500, 0.500, 0.747) and Re at (0.500, 0.500, 0.263).

Record 2
## Mg2AlRe (GGA-PBE)

Data for crystalline Mg2AlRe at its relaxed geometry.

As for the formation energy: 12.98 kJ/mol of atoms. Its magnetization is 0.000 μB per atom. The calculated volume is 16.89 Å³/atom.

The space group is Pmm2 (No. 25) and the conventional cell measures 2.800, 4.198 and 5.747 Å, with angles of 90.00, 90.00 and 90.00 degrees. The distinct sites, in fractional coordinates, are Mg at (0.000, 0.000, 0.000), Mg at (0.500, 0.500, 0.263), Al at (0.500, 0.500, 0.719) and Re at (0.000, 0.000, 0.517).

Record 3
## Mg2AlRe (GGA-PBE)

Data for crystalline Mg2AlRe at its relaxed geometry.

As for the formation energy: 23.97 kJ/mol of atoms. Its magnetization is 0.000 μB per atom. The calculated volume is 17.20 Å³/atom.

The space group is P4/mmm (No. 123) and the conventional cell measures 2.778, 2.778 and 8.912 Å, with angles of 90.00, 90.00 and 90.00 degrees. The distinct sites, in fractional coordinates, are Mg at (0.000, 0.000, 0.241), Al at (0.500, 0.500, 0.500) and Re at (0.500, 0.500, 0.000).

Record 4
## MgAlRe (GGA-PBE)

Data for crystalline MgAlRe at its relaxed geometry.

As for the formation energy: 17.88 kJ/mol of atoms. Its offset from the most stable computed form is 0.268 eV/atom. Its magnetization is 0.000 μB per atom. The calculated volume is 16.44 Å³/atom.

The space group is I4mm (No. 107) and the conventional cell measures 2.764, 2.764 and 12.911 Å, with angles of 90.00, 90.00 and 90.00 degrees. The distinct sites, in fractional coordinates, are Mg at (0.000, 0.000, 0.000), Al at (0.000, 0.000, 0.316) and Re at (0.000, 0.000, 0.668).

Record 5
## MgAl2Re (GGA-PBE)

Data for crystalline MgAl2Re at its relaxed geometry.

As for the formation energy: 19.38 kJ/mol of atoms. Its magnetization is 0.000 μB per atom. The calculated volume is 15.53 Å³/atom.

The space group is F-43m (No. 216) and the conventional cell measures 6.287, 6.287 and 6.287 Å, with angles of 90.00, 90.00 and 90.00 degrees. The distinct sites, in fractional coordinates, are Mg at (0.000, 0.000, 0.000), Al at (0.000, 0.000, 0.500), Al at (0.250, 0.250, 0.250) and Re at (0.250, 0.250, 0.750).

Record 6
## MgAl10Re2 (GGA-PBE)

Data for crystalline MgAl10Re2 at its relaxed geometry.

As for the formation energy: -16.32 kJ/mol of atoms. Its magnetization is 0.000 μB per atom. The calculated volume is 16.67 Å³/atom.

The space group is Cmcm (No. 63) and the conventional cell measures 9.199, 10.326 and 9.128 Å, with angles of 90.00, 90.00 and 90.00 degrees. The distinct sites, in fractional coordinates, are Mg at (0.000, 0.135, 0.250), Al at (0.000, 0.143, 0.594), Al at (0.000, 0.374, 0.031), Al at (0.164, 0.371, 0.750), Al at (0.217, 0.365, 0.250), Al at (0.230, 0.000, 0.000) and Re at (0.250, 0.250, 0.000).

Record 7
## MgAl2Re (GGA-PBE)

Data for crystalline MgAl2Re at its relaxed geometry.

As for the formation energy: 2.87 kJ/mol of atoms. Its magnetization is 0.000 μB per atom. The calculated volume is 15.93 Å³/atom.

The space group is Cm (No. 8) and the conventional cell measures 9.668, 2.742 and 4.846 Å, with angles of 90.00, 97.24 and 90.00 degrees. The distinct sites, in fractional coordinates, are Mg at (0.000, 0.000, 0.000), Al at (0.016, 0.500, 0.517), Al at (0.262, 0.500, 0.249) and Re at (0.252, 0.000, 0.742).

Record 8
## Mg2AlRe (GGA-PBE)

Data for crystalline Mg2AlRe at its relaxed geometry.